=====
Here is a relaxed Pr2Ta3Se2O8 crystal from the Materials Project. Energies are from PBE.

Properties
ΔH_f (0 K) (eV per atom): -3.095

a b c (Å): 10.0022 12.0173 7.6828
angles (deg): 90.00 90.00 90.00
Closest atoms and distances in Å follow each position.
Fractional positions:
Pr: 0.2102 0.1568 0.0000  7 O 2.53-2.61
Pr: 0.2273 0.1490 0.5000  7 O 2.50-2.64
Pr: 0.2727 0.6490 0.0000  7 O 2.50-2.64
Pr: 0.2898 0.6568 0.5000  7 O 2.53-2.61
Pr: 0.7102 0.3432 0.5000  7 O 2.53-2.61
Pr: 0.7273 0.3510 0.0000  7 O 2.50-2.64
Pr: 0.7727 0.8510 0.5000  7 O 2.50-2.64
Pr: 0.7898 0.8432 0.0000  7 O 2.53-2.61
Ta: 0.0000 0.5000 0.2855  2 O 2.00
Ta: 0.0000 0.5000 0.7145  2 O 2.00
Ta: 0.1359 0.9166 0.2497  4 O 1.85-1.97
Ta: 0.1359 0.9166 0.7503  4 O 1.85-1.97
Ta: 0.3641 0.4166 0.2503  4 O 1.85-1.97
Ta: 0.3641 0.4166 0.7497  4 O 1.85-1.97
Ta: 0.5000 0.0000 0.2145  2 O 2.00
Ta: 0.5000 0.0000 0.7855  2 O 2.00
Ta: 0.6359 0.5834 0.2503  4 O 1.85-1.97
Ta: 0.6359 0.5834 0.7497  4 O 1.85-1.97
Ta: 0.8641 0.0834 0.2497  4 O 1.85-1.97
Ta: 0.8641 0.0834 0.7503  4 O 1.85-1.97
Se: 0.0198 0.3367 0.5000  2 Ta 2.57
Se: 0.0233 0.3617 0.0000  2 Ta 2.76, 2 Pr 2.96-3.09
Se: 0.4767 0.8617 0.5000  2 Ta 2.76, 2 Pr 2.96-3.09
Se: 0.4802 0.8367 0.0000  2 Ta 2.57
Se: 0.5198 0.1633 0.0000  2 Ta 2.57
Se: 0.5233 0.1383 0.5000  2 Ta 2.76, 2 Pr 2.96-3.09
Se: 0.9767 0.6383 0.0000  2 Ta 2.76, 2 Pr 2.96-3.09
Se: 0.9802 0.6633 0.5000  2 Ta 2.57
O: 0.0561 0.1029 0.2542  1 Ta 1.94
O: 0.0561 0.1029 0.7458  1 Ta 1.94
O: 0.1354 0.9485 0.0000  2 Ta 1.96
O: 0.1503 0.9511 0.5000  2 Ta 1.97
O: 0.1972 0.5246 0.2648  2 Ta 2.00-2.12
O: 0.1972 0.5246 0.7352  2 Ta 2.00-2.12
O: 0.2124 0.7760 0.2482  1 Ta 1.85
O: 0.2124 0.7760 0.7518  1 Ta 1.85
O: 0.2876 0.2760 0.2518  1 Ta 1.85
O: 0.2876 0.2760 0.7482  1 Ta 1.85
O: 0.3028 0.0246 0.2352  2 Ta 2.00-2.12
O: 0.3028 0.0246 0.7648  2 Ta 2.00-2.12
O: 0.3497 0.4511 0.0000  2 Ta 1.97
O: 0.3646 0.4485 0.5000  2 Ta 1.96
O: 0.4439 0.6029 0.2458  1 Ta 1.94
O: 0.4439 0.6029 0.7542  1 Ta 1.94
O: 0.5561 0.3971 0.2458  1 Ta 1.94
O: 0.5561 0.3971 0.7542  1 Ta 1.94
O: 0.6354 0.5515 0.5000  2 Ta 1.96
O: 0.6503 0.5489 0.0000  2 Ta 1.97
O: 0.6972 0.9754 0.2352  2 Ta 2.00-2.12
O: 0.6972 0.9754 0.7648  2 Ta 2.00-2.12
O: 0.7124 0.7240 0.2518  1 Ta 1.85
O: 0.7124 0.7240 0.7482  1 Ta 1.85
O: 0.7876 0.2240 0.2482  1 Ta 1.85
O: 0.7876 0.2240 0.7518  1 Ta 1.85
O: 0.8028 0.4754 0.2648  2 Ta 2.00-2.12
O: 0.8028 0.4754 0.7352  2 Ta 2.00-2.12
O: 0.8497 0.0489 0.5000  2 Ta 1.97
O: 0.8646 0.0515 0.0000  2 Ta 1.96
O: 0.9439 0.8971 0.2542  1 Ta 1.94
O: 0.9439 0.8971 0.7458  1 Ta 1.94

Here is a relaxed Sr7RhN6 crystal from the Materials Project. Energies are from PBE.

Properties
ΔH_f (0 K) (eV per atom): -0.537

a b c (Å): 11.7242 6.7196 13.9385
angles (deg): 90.00 90.00 90.00
Closest atoms and distances in Å follow each position.
Fractional positions:
Sr: 0.0000 0.0681 0.2500  4 N 2.64-2.68
Sr: 0.0000 0.9319 0.7500  4 N 2.64-2.68
Sr: 0.0367 0.2308 0.5211  4 N 2.54-2.82
Sr: 0.0367 0.7692 0.0211  4 N 2.54-2.82
Sr: 0.2060 0.3929 0.1224  3 N 2.50-2.69
Sr: 0.2060 0.6071 0.6224  3 N 2.50-2.69
Sr: 0.2234 0.3632 0.8738  4 N 2.57-2.69
Sr: 0.2234 0.6368 0.3738  4 N 2.57-2.69
Sr: 0.2766 0.1368 0.3738  4 N 2.57-2.69
Sr: 0.2766 0.8632 0.8738  4 N 2.57-2.69
Sr: 0.2940 0.1071 0.6224  3 N 2.50-2.69
Sr: 0.2940 0.8929 0.1224  3 N 2.50-2.69
Sr: 0.4633 0.2692 0.0211  4 N 2.54-2.82
Sr: 0.4633 0.7308 0.5211  4 N 2.54-2.82
Sr: 0.5000 0.4319 0.7500  4 N 2.64-2.68
Sr: 0.5000 0.5681 0.2500  4 N 2.64-2.68
Sr: 0.5367 0.2692 0.4789  4 N 2.54-2.82
Sr: 0.5367 0.7308 0.9789  4 N 2.54-2.82
Sr: 0.7060 0.1071 0.8776  3 N 2.50-2.69
Sr: 0.7060 0.8929 0.3776  3 N 2.50-2.69
Sr: 0.7234 0.1368 0.1262  4 N 2.57-2.69
Sr: 0.7234 0.8632 0.6262  4 N 2.57-2.69
Sr: 0.7766 0.3632 0.6262  4 N 2.57-2.69
Sr: 0.7766 0.6368 0.1262  4 N 2.57-2.69
Sr: 0.7940 0.3929 0.3776  3 N 2.50-2.69
Sr: 0.7940 0.6071 0.8776  3 N 2.50-2.69
Sr: 0.9633 0.2308 0.9789  4 N 2.54-2.82
Sr: 0.9633 0.7692 0.4789  4 N 2.54-2.82
=====
Please duplicate the whole of the rows further up word for word.
Here is a relaxed Pr2Ta3Se2O8 crystal from the Materials Project. Energies are from PBE.

Properties
ΔH_f (0 K) (eV per atom): -3.095

a b c (Å): 10.0022 12.0173 7.6828
angles (deg): 90.00 90.00 90.00
Closest atoms and distances in Å follow each position.
Fractional positions:
Pr: 0.2102 0.1568 0.0000  7 O 2.53-2.61
Pr: 0.2273 0.1490 0.5000  7 O 2.50-2.64
Pr: 0.2727 0.6490 0.0000  7 O 2.50-2.64
Pr: 0.2898 0.6568 0.5000  7 O 2.53-2.61
Pr: 0.7102 0.3432 0.5000  7 O 2.53-2.61
Pr: 0.7273 0.3510 0.0000  7 O 2.50-2.64
Pr: 0.7727 0.8510 0.5000  7 O 2.50-2.64
Pr: 0.7898 0.8432 0.0000  7 O 2.53-2.61
Ta: 0.0000 0.5000 0.2855  2 O 2.00
Ta: 0.0000 0.5000 0.7145  2 O 2.00
Ta: 0.1359 0.9166 0.2497  4 O 1.85-1.97
Ta: 0.1359 0.9166 0.7503  4 O 1.85-1.97
Ta: 0.3641 0.4166 0.2503  4 O 1.85-1.97
Ta: 0.3641 0.4166 0.7497  4 O 1.85-1.97
Ta: 0.5000 0.0000 0.2145  2 O 2.00
Ta: 0.5000 0.0000 0.7855  2 O 2.00
Ta: 0.6359 0.5834 0.2503  4 O 1.85-1.97
Ta: 0.6359 0.5834 0.7497  4 O 1.85-1.97
Ta: 0.8641 0.0834 0.2497  4 O 1.85-1.97
Ta: 0.8641 0.0834 0.7503  4 O 1.85-1.97
Se: 0.0198 0.3367 0.5000  2 Ta 2.57
Se: 0.0233 0.3617 0.0000  2 Ta 2.76, 2 Pr 2.96-3.09
Se: 0.4767 0.8617 0.5000  2 Ta 2.76, 2 Pr 2.96-3.09
Se: 0.4802 0.8367 0.0000  2 Ta 2.57
Se: 0.5198 0.1633 0.0000  2 Ta 2.57
Se: 0.5233 0.1383 0.5000  2 Ta 2.76, 2 Pr 2.96-3.09
Se: 0.9767 0.6383 0.0000  2 Ta 2.76, 2 Pr 2.96-3.09
Se: 0.9802 0.6633 0.5000  2 Ta 2.57
O: 0.0561 0.1029 0.2542  1 Ta 1.94
O: 0.0561 0.1029 0.7458  1 Ta 1.94
O: 0.1354 0.9485 0.0000  2 Ta 1.96
O: 0.1503 0.9511 0.5000  2 Ta 1.97
O: 0.1972 0.5246 0.2648  2 Ta 2.00-2.12
O: 0.1972 0.5246 0.7352  2 Ta 2.00-2.12
O: 0.2124 0.7760 0.2482  1 Ta 1.85
O: 0.2124 0.7760 0.7518  1 Ta 1.85
O: 0.2876 0.2760 0.2518  1 Ta 1.85
O: 0.2876 0.2760 0.7482  1 Ta 1.85
O: 0.3028 0.0246 0.2352  2 Ta 2.00-2.12
O: 0.3028 0.0246 0.7648  2 Ta 2.00-2.12
O: 0.3497 0.4511 0.0000  2 Ta 1.97
O: 0.3646 0.4485 0.5000  2 Ta 1.96
O: 0.4439 0.6029 0.2458  1 Ta 1.94
O: 0.4439 0.6029 0.7542  1 Ta 1.94
O: 0.5561 0.3971 0.2458  1 Ta 1.94
O: 0.5561 0.3971 0.7542  1 Ta 1.94
O: 0.6354 0.5515 0.5000  2 Ta 1.96
O: 0.6503 0.5489 0.0000  2 Ta 1.97
O: 0.6972 0.9754 0.2352  2 Ta 2.00-2.12
O: 0.6972 0.9754 0.7648  2 Ta 2.00-2.12
O: 0.7124 0.7240 0.2518  1 Ta 1.85
O: 0.7124 0.7240 0.7482  1 Ta 1.85
O: 0.7876 0.2240 0.2482  1 Ta 1.85
O: 0.7876 0.2240 0.7518  1 Ta 1.85
O: 0.8028 0.4754 0.2648  2 Ta 2.00-2.12
O: 0.8028 0.4754 0.7352  2 Ta 2.00-2.12
O: 0.8497 0.0489 0.5000  2 Ta 1.97
O: 0.8646 0.0515 0.0000  2 Ta 1.96
O: 0.9439 0.8971 0.2542  1 Ta 1.94
O: 0.9439 0.8971 0.7458  1 Ta 1.94

Here is a relaxed Sr7RhN6 crystal from the Materials Project. Energies are from PBE.

Properties
ΔH_f (0 K) (eV per atom): -0.537

a b c (Å): 11.7242 6.7196 13.9385
angles (deg): 90.00 90.00 90.00
Closest atoms and distances in Å follow each position.
Fractional positions:
Sr: 0.0000 0.0681 0.2500  4 N 2.64-2.68
Sr: 0.0000 0.9319 0.7500  4 N 2.64-2.68
Sr: 0.0367 0.2308 0.5211  4 N 2.54-2.82
Sr: 0.0367 0.7692 0.0211  4 N 2.54-2.82
Sr: 0.2060 0.3929 0.1224  3 N 2.50-2.69
Sr: 0.2060 0.6071 0.6224  3 N 2.50-2.69
Sr: 0.2234 0.3632 0.8738  4 N 2.57-2.69
Sr: 0.2234 0.6368 0.3738  4 N 2.57-2.69
Sr: 0.2766 0.1368 0.3738  4 N 2.57-2.69
Sr: 0.2766 0.8632 0.8738  4 N 2.57-2.69
Sr: 0.2940 0.1071 0.6224  3 N 2.50-2.69
Sr: 0.2940 0.8929 0.1224  3 N 2.50-2.69
Sr: 0.4633 0.2692 0.0211  4 N 2.54-2.82
Sr: 0.4633 0.7308 0.5211  4 N 2.54-2.82
Sr: 0.5000 0.4319 0.7500  4 N 2.64-2.68
Sr: 0.5000 0.5681 0.2500  4 N 2.64-2.68
Sr: 0.5367 0.2692 0.4789  4 N 2.54-2.82
Sr: 0.5367 0.7308 0.9789  4 N 2.54-2.82
Sr: 0.7060 0.1071 0.8776  3 N 2.50-2.69
Sr: 0.7060 0.8929 0.3776  3 N 2.50-2.69
Sr: 0.7234 0.1368 0.1262  4 N 2.57-2.69
Sr: 0.7234 0.8632 0.6262  4 N 2.57-2.69
Sr: 0.7766 0.3632 0.6262  4 N 2.57-2.69
Sr: 0.7766 0.6368 0.1262  4 N 2.57-2.69
Sr: 0.7940 0.3929 0.3776  3 N 2.50-2.69
Sr: 0.7940 0.6071 0.8776  3 N 2.50-2.69
Sr: 0.9633 0.2308 0.9789  4 N 2.54-2.82
Sr: 0.9633 0.7692 0.4789  4 N 2.54-2.82